**Exercise:**
Count the lines below that contain the word "chemistry" and give the number alone, please.
**Data:**
The following is a quantum chemistry calculation of a cluster of 4 separate species, C14H34BN3O8PS3 in total, from the Open Molecules 2025 dataset.

Geometry as ORCA input:
```
! wB97M-V def2-TZVPD RIJCOSX def2/J DEFGRID3
* xyz 1 1
C -4.3129 0.1085 -1.3387
B -3.0273 -0.5316 -2.0111
O -3.0188 -1.7710 -2.5828
N -1.6499 0.1919 -2.0235
P -1.8570 1.8426 -2.6046
O -2.7955 1.8013 -3.7526
C -1.2527 0.1523 -0.7413
N -0.9160 1.3883 -0.1603
N -1.2248 -1.0117 -0.0589
H -5.2282 -0.1034 -1.9219
H -4.3727 -0.3191 -0.3070
H -4.2681 1.2063 -1.2118
H -3.9124 -2.1227 -2.4171
H -2.4551 2.6990 -1.6406
H -0.6416 2.4470 -2.9955
H 0.0567 1.3824 0.1717
H -1.5600 1.6320 0.5954
H -0.5255 -1.7380 -0.1524
H -2.0254 -1.2132 0.5531
C -3.3126 -1.4424 5.1187
C -2.0448 -2.0174 4.4757
C -2.4757 -3.1774 3.5702
S -4.1511 -2.8057 3.0443
O -5.0337 -3.7941 3.5973
O -4.1485 -2.4785 1.6305
C -4.3241 -1.2967 3.9867
H -3.1209 -0.4878 5.6078
H -3.6924 -2.1374 5.8713
H -1.5564 -1.2434 3.8766
H -1.3275 -2.3506 5.2250
H -1.8349 -3.2660 2.6949
H -2.4968 -4.1221 4.1114
H -5.3499 -1.1952 4.3352
H -4.0650 -0.4631 3.3322
C 4.5791 0.8233 1.8272
C 4.4247 0.3641 3.2812
C 2.9916 0.6899 3.7164
S 1.9962 0.6496 2.2269
O 1.4952 1.9818 1.9599
O 1.1159 -0.5001 2.2649
C 3.3407 0.3137 1.0985
H 5.4932 0.4394 1.3764
H 4.6146 1.9148 1.7861
H 4.5916 -0.7140 3.3417
H 5.1516 0.8441 3.9354
H 2.6075 -0.0420 4.4241
**Completed:**
1